by the decision of the General Meeting of Founders
Public Association
”Chamber of Patent Attorneys of Kazakhstan”
No.___ dated ___ __________ 2021
Code of Business and Ethical Conduct of Members of the Public Association “Chamber of Patent Attorneys of Kazakhstan”
- Introduction
1.1. This Code of Ethics and Business Conduct (hereinafter referred to as ”The Code”) regulates the norms of business conduct and ethics of members of the Public Association “Chamber of Patent Attorneys of Kazakhstan” (hereinafter referred to as ”The Chamber”).
1.2. The members of the Chamber (hereinafter referred to as ”The Patent Attorney”) confirm their commitment to the highest ethical standards and rules of business conduct and the need for strict compliance with the norms established by the norms of international and national legal acts, the Charter of the Chamber and this Code.
- Compliance with legislation and business conduct requirements
2.1. The patent attorney is obliged to strictly observe the norms of the legislation of the Republic of Kazakhstan including the norms of anti-corruption law.
2.2. When carrying out their professional activities, a patent attorney shall not allow actions of an unfair nature in relation to their other colleagues-patent attorneys. Conduct its activities in good faith and honestly.
2.3. The Patent attorney is obliged to immediately inform his Client about those orders that are obviously illegal, and to explain to the Client about the negative legal consequences of violating the law.
2.4. The patent attorney independently sets the cost of his services. The Chamber has no right to interfere in the professional activities of the Patent Attorney.
2.5. The patent attorney, throughout his professional activity, protects the interests of his Client related to the preservation of confidential information, the storage of business and other documents as well as the conduct of correspondence.
The documents received by the Patent Attorney from the Client are kept by the Patent Attorney for 3 (three) years, unless otherwise specified in the contract.
2.6. At the request of the Client, the Patent Attorney is obliged to provide information about his education, qualifications and work experience in the specialty as well as about the availability of insurance or other form of liability coverage for damage to the interests of the Client from the actions of the Patent Attorney.
2.7. The use (indication) of the name of the company or the logo of the Client and the Patent Attorney for advertising purposes is allowed with the mutual consent of the parties on the basis of a contract or other written document confirming the provision of such consent.
2.8. The Patent Attorney is strictly prohibited from guaranteeing the Client a positive solution to a dispute that is being considered in a judicial, administrative or other manner.
### Unrelated to this article: records of crystals
'''
La3HoMg: computed XRD peak list (Cu Kα (λ = 1.5418 Å)), based on a GGA-PBE-relaxed structure.
Intensities are scaled so that the largest is 100.

Structure:
a = 5.589 Å, b = 7.048 Å, c = 9.021 Å
α = 91.75°, β = 108.03°, γ = 90.00°
Atoms (fractional coordinates):
La 0.008 0.262 0.015
La 0.203 0.658 0.407
La 0.390 0.004 0.780
La 0.610 0.996 0.220
La 0.797 0.342 0.593
La 0.992 0.738 0.985
Ho 0.403 0.495 0.807
Ho 0.597 0.505 0.193
Mg 0.205 0.166 0.411
Mg 0.795 0.834 0.589

The 12 most intense peaks (10 to 90 degrees two-theta), by intensity:
| h k l | d (Å) | 2θ/deg | I/Imax |
| --- | --- | --- | --- |
| 1 0 2 | 2.923 | 30.59 | 100 |
| 2 0 -1 | 2.795 | 32.03 | 25 |
| 0 2 -2 | 2.765 | 32.37 | 20 |
| 3 0 1 | 1.637 | 56.19 | 18 |
| 2 2 -3 | 1.966 | 46.18 | 15 |
| 1 2 -5 | 1.625 | 56.63 | 12 |
| 1 -2 0 | 2.949 | 30.30 | 10 |
| 0 2 3 | 2.185 | 41.31 | 9 |
| 2 2 2 | 1.721 | 53.21 | 9 |
| 2 0 4 | 1.461 | 63.67 | 8 |
| 0 2 2 | 2.677 | 33.47 | 7 |
| 0 0 5 | 1.715 | 53.44 | 7 |
'''
### So much for the records of crystals
2.9. The Patent Attorney must avoid actions that contribute to obtaining an undue advantage over other patent attorneys, misrepresentation of facts and circumstances, concealment or abuse of commercial and other information as well as deception, blackmail, manipulation.
2.10. The Patent Attorney is obliged to ensure the safety and protection of confidential information and / or trade secrets of his Client.
2.11. The Patent Attorney may not speak on behalf of the Chamber and his Client in the mass media without their consent.
2.12. The Patent Attorney has the right to carry out political and public activities in accordance with the Laws of the Republic of Kazakhstan. The Patent Attorney does not have the right to agitate on behalf of the Chamber and his Client in favor of a particular political party, public or religious organization.
- Compliance with conflict of interest provisions
3.1. The Patent Attorney is obliged to notify his Client of the circumstances when his personal interests come into conflict with the interests of the Client.
3.2. The conflict of interest include the following circumstances:
3.2.1. Implementation of professional activities of the Patent Attorney with persons who are or were previously in contractual and / or non-contractual relations with the Client;
3.2.2. Implementation of professional activities by the Patent Attorney with family members or close relatives of the Client;
3.2.3. Presence of commercial, financial and other interests of the Patent Attorney in the activities of individuals and / or legal entities of the Client or in the activities of affiliates thereof;
3.2.4. whether the Patent Attorney has the ability to make a decision or influence the adoption of such decision by individuals and / or legal entities to the detriment of the interests of the Client;
3.2.5. Employment by the Patent attorney of an employee who previously had a contractual relationship with the Client;
3.2.6. The Patent Attorney has an interest (share) in the charter capital of legal entities with which the Client conducts professional and other activities.
The list of conflicts of interest specified in clause 3.2 of this Code is not exhaustive.
In the event of a conflict of interest, the Patent Attorney must immediately notify the Client.
The conflict of interests is subject to settlement through negotiations, and in case of failure to reach an agreement – in the court.
The settlement of the conflict of interests through negotiations shall be executed in writing in the form of a protocol signed by all participants of the conflict of interests.
- Internal procedures
4.1. To implement and clarify the main provisions of this Code, an Ethics Commission shall be established within the Chamber. The regulations on the Ethics Commission shall be approved by the highest governing body of the Chamber.
4.2. If there are questions about the application of the provisions of this Code, the Patent Attorney has the right to apply to the Ethics Commission.
4.3. The decisions of the Ethics Commission are advisory in nature.